(A)   General. Regulations concerning building wreckers and the process of building wrecking within the city shall be as set forth in this section.
   (B)   Permit required. Before proceeding with the wrecking or tearing down of any building or other structure which is more than one story in height; has a ground floor area of more than 400 square feet; is situated immediately adjacent to or is located so closely to the line of any public street or alley that wrecking or tearing down will necessitate the use of some portion of the public way; or may endanger persons or property using or being upon the public way; a permit for the wrecking or tearing down shall be obtained by the owner or his or her agent from the City Clerk. It shall be unlawful to proceed with the wrecking or tearing down of any building or structure or any structural part unless the permit is obtained.
      (1)   Application for a permit shall be made in writing by the owner or his or her agent to the City Clerk who shall refer the same to the Building Commissioner, who shall inspect the premises affected and make report to the City Clerk before any permit is issued. Every application shall state the location and describe the building or other structure which it is proposed to wreck or tear down, the extent of the public ways to be occupied or obstructed, the dates when the work is to begin and the name and address of the person, firm or corporation proposing to do the wrecking or tearing down.
      (2)   If the Building Commissioner determines that the applicant has complied with the terms of this section and other applicable ordinances, he or she shall approve the issuance of the permit and the City Clerk shall issue the permit upon the payment of a permit fee of $50. However, in the case of the wrecking or tearing down of a building or other structure which is not more than one story in height and has a ground floor area of not more than 400 square feet which can be torn down and removed without the obstruction of any public way and without the risk of injury to persons or property using or being upon any public way, no permit fee shall be required.
   (C)   Safety requirements. Upon the issuance of a permit, the building or other structure may be wrecked or torn down provided that all the work done shall be subject to the supervision of the Building Commissioner and to reasonable restrictions that he or she imposes to safeguard the public and to protect any public way. The work shall be protected by barricades, scaffolding and other similar devices as may be necessary to protect the public and to ensure safety to human life and to comply with the provisions of the Act of the General Assembly passed 6-3-1907, in force 7-1-1907, provisions of this chapter and applicable state law providing for the safety of workers in and about the construction and removal of buildings.
   (D)   Surety bond or insurance.
# Here the entry breaks off for materials data
┌──
Record 1
This record from the Alexandria database describes a geometry-optimized RbSi3O structure. The functional is PBE.

Cell and atoms, written as POSCAR:
```
RbSi3O
1.0
4.599 0.000 0.000
0.000 4.599 0.000
0.000 0.000 4.599
Si O Rb
3 1 1
Cartesian
0.000 2.300 0.000 Si
0.000 0.000 2.300 Si
2.300 0.000 0.000 Si
0.000 0.000 0.000 O
2.300 2.300 2.300 Rb
```

Calculated values
formation energy from raw total energies	0.571	eV/atom
crystal system	cubic
relative energy among the computed polymorphs	0.00	eV per formula unit
Fermi-level density of states	0.448	states/eV per atom
space-group type	No. 221

=====

Record 2
This record from the Alexandria database describes a geometry-optimized K2In3Cl8 structure. The functional is PBE.

Cell and atoms, written as POSCAR:
```
K2In3Cl8
1.0
-4.513 1.538 5.546
3.147 -6.870 -0.356
6.358 3.245 4.274
K In Cl
2 3 8
Cartesian
1.938 0.295 6.318 K
3.054 -2.382 3.146 K
3.179 1.622 2.137 In
-0.971 0.331 1.193 In
-3.542 1.207 4.353 In
1.001 -4.441 2.047 Cl
3.991 2.354 7.418 Cl
0.277 -2.517 5.746 Cl
4.715 0.430 3.718 Cl
-1.131 1.176 6.045 Cl
1.180 0.388 3.206 Cl
3.813 -2.475 6.259 Cl
6.124 -3.262 3.419 Cl
```

Calculated values
formation energy from raw total energies	-1.287	eV/atom
crystal system	monoclinic
Fermi-level density of states	0.177	states/eV per atom
space-group type	No. 12

=====

Record 3
This record from the Alexandria database describes a geometry-optimized Zn4Ag4Au structure. The functional is PBE.

Cell and atoms, written as POSCAR:
```
Zn4Ag4Au
1.0
-1.873 -1.085 -2.866
-5.420 -3.012 2.434
-4.075 5.051 -1.500
Zn Ag Au
4 4 1
Cartesian
-1.206 -0.675 -0.081 Zn
-10.162 1.629 -1.851 Zn
-5.638 -0.715 -1.670 Zn
-5.730 1.668 -0.262 Zn
-3.211 0.572 -1.493 Ag
-8.157 0.382 -0.438 Ag
-6.124 -1.035 1.019 Ag
-5.245 1.989 -2.951 Ag
-3.647 -2.049 -0.216 Au
```

Calculated values
DFT formation energy	-0.070	eV per atom
crystal system	tetragonal
relative energy among the computed polymorphs	0.00	eV per formula unit
Fermi-level density of states	0.194	states/eV per atom
space-group type	No. 139

=====

Which of these has the highest Fermi-level density of states?
RbSi3O
└──
# Here the entry continues
      (1)   Before any permit is issued granting authority to wreck a building or structure for which a permit is required, the person engaged in the work of wrecking the building shall file with the City Clerk a surety bond with sureties to be approved by the City Clerk in the amount of $20,000 to indemnify, keep, and save harmless the city against any loss, cost, damage, expense, judgment or liability of any kind whatsoever which the city may suffer or which may accrue against, be charged to or be recovered from the city or any of its officials from anything done under any permit granted for the wrecking operations.
      (2)   However, the person engaged in the work of wrecking may, in lieu of the surety bond, file with the City Clerk a policy of insurance or a certificate evidencing the existence of a policy of insurance written by a reputable insurance company qualified to do business in the state. The policy shall be acceptable to the City Clerk and name the city as one of the insured. The policy of insurance shall be written to afford protection to the city against all claims by any person or persons who may sustain or suffer injury or damage to property as a result of anything done in and about the wrecking of the building. The limits of protection afforded by the insurance policy shall be not less than $100,000 for injury to one person and not less than $200,000 for injury to two or more persons and $20,000 for damage to property. The insurance policy shall be kept in force at all times during the wrecking of the building or other structure and until the wrecking is fully completed.
   (E)   Disposition of wreckage and debris.
      (1)   All debris shall be removed from the site as the wrecking progresses.
      (2)   However, salvage materials may be temporarily stored on the premises upon condition that they be stored in a safe and neat manner and that they be removed upon the completion of the wrecking.
      (3)   In no case shall wreck materials or debris be permitted to fall upon any public way or any adjoining private property, or to occupy or obstruct a public way.
      (4)   Upon the completion of the demolition, and if a succeeding building is not to be immediately erected upon the site, the site shall be filled where necessary with soil, cinders or other firm material to a level equal to that of adjoining sidewalks, alleys or other properties.
   (F)   Discontinuance of operation.
      (1)   No wrecking operation shall be discontinued or abandoned once it has been undertaken.
      (2)   It shall be carried forward promptly and without unnecessary interruption.
   (G)   Obstruction or opening of street. In any case where the wrecking of any building or structure will require the obstruction of any public street or the opening of any public street or alley, the applicant, at the time of making application for the permit required by the terms of this section, shall also make application for and obtain any other permit which may be required in connection with the street obstruction or street opening pursuant to the terms of any other city law. The issuance of the permit required by this section shall be subject to the provisions of this section.
   (H)   Protection of sidewalks.
      (1)   In every case where the wrecking of any building or structure will or may cause or result in damage to any public sidewalk bordering the premises upon which the building or structure is situated, the applicant shall, as a condition precedent to the issuance of the permit required by the terms of this section, make a deposit of cash with the City Clerk in an amount not less than the amount estimated to be required to replace any sidewalk which may be damaged in connection with the wrecking operation.
      (2)   The cash deposit shall be held by the City Clerk until the wrecking operations are completed and any sidewalk damaged is repaired or replaced to the satisfaction of the Superintendent of Streets of the city, following which the cash deposit shall be returned to the person making the same.
      (3)   In the event any damaged sidewalk is not repaired or replaced within 30 days following the date of the completion of the wrecking operations or within a reasonable additional time allowed by the City Clerk because of weather conditions or other similar cause, the cash deposit or so much thereof as shall be necessary shall be used to pay the cost of repairing or replacing the damaged sidewalk.
      (4)   The remainder, if any, shall be returned to the person making the deposit.
(Prior Code, § 150.146) (Ord. 1864, passed 12-20-1960; Ord. 2304, passed 3-23-1976) Penalty, see § 150.999